**Brief**
It remains to quote the lines further below up to the one that holds "-0.81", that line included.

**Given**
<<<
ORCA calculation (ωB97M-V/def2-TZVPD) on a cluster of 2 separate species, C32H43O3Si in total at a distorted geometry.

Geometry as XYZ:
```
79
Properties=species:S:1:pos:R:3:forces:R:3:mulliken_charge:R:1
H -3.61922 1.36571 -1.07962 -0.1 -0.1 0.1 0.35
C -0.58077 -5.84415 6.26390 0.0 0.0 -0.1 -0.55
H -3.25682 1.56524 1.47083 -0.2 -0.1 -0.1 0.29
H -2.76146 -2.91109 4.07577 0.4 -0.1 0.0 0.28
H -2.41572 -9.97054 -0.99010 0.3 0.0 -0.1 0.34
H -4.22263 -1.79495 -0.97022 0.2 -0.1 0.1 0.23
C 2.06895 -11.20606 10.28757 -0.1 0.1 -0.1 -0.53
C -0.30866 -6.05018 3.80912 0.9 -1.5 -0.2 -0.62
H 0.32409 2.02471 2.42530 -0.2 -0.1 0.1 0.45
H -0.69135 -10.82376 8.29868 0.3 0.0 0.3 0.48
C -0.49111 1.70408 -0.17311 0.1 0.1 0.0 -1.51
H -3.16630 -3.02877 -0.24197 0.0 0.2 -0.1 0.22
H -5.04322 -0.93164 1.61173 0.1 0.2 0.1 0.25
H -0.22995 -9.69173 6.72638 0.1 0.4 -0.1 0.16
H -5.03199 1.85354 -0.13715 0.1 -0.2 -0.1 0.43
C -0.58663 1.41457 2.34276 0.2 0.1 0.0 -1.60
H 2.92419 -9.63803 11.51914 -0.2 -0.2 -0.2 0.37
H -1.92548 -8.22026 3.29682 0.1 0.2 -0.3 0.72
H 0.45004 -1.86931 1.42595 -0.3 -0.3 0.2 0.03
H -1.16697 -10.41846 -2.19947 -0.1 0.0 0.2 0.25
C -0.53172 -7.77995 7.69844 0.1 -0.5 1.2 1.06
H -1.45064 2.08359 2.45409 0.2 -0.1 0.0 0.33
C 0.01398 -2.70256 1.99493 0.8 -0.3 0.1 -0.47
C -0.59409 0.70244 0.98492 -0.1 -0.5 0.1 1.15
H -5.51487 0.70753 2.10779 0.1 -0.2 0.0 0.43
H 0.28309 0.03873 0.94628 0.0 0.3 0.0 0.24
H 0.69751 -2.94308 2.82031 0.0 0.1 -0.2 0.53
H -0.64642 -4.76501 6.14459 0.0 -0.2 0.1 0.33
C -2.09320 -1.24591 -0.90775 0.0 0.3 0.4 1.07
C -0.69079 -6.39499 7.52251 0.0 0.1 -0.1 -0.81
C -1.31950 -2.44784 2.59152 -1.5 -0.1 1.2 0.99
H 0.13207 -5.05756 3.75694 -0.3 -0.1 0.0 0.75
C -1.74970 -3.09350 3.70978 0.2 1.1 -0.9 -0.90
C -4.65880 0.02812 1.98267 -0.3 0.2 0.1 -1.48
H -4.90395 0.18683 -0.72598 0.2 0.2 0.1 0.31
C 1.05395 -11.53915 9.38625 -0.1 0.2 0.1 -0.51
H 0.97138 -12.55083 8.98693 0.1 0.3 0.2 0.38
H -0.03747 -3.59692 1.35314 0.0 0.5 0.0 -0.33
H -1.37281 2.35895 -0.22472 0.2 -0.1 0.0 0.28
H -0.10372 -8.73046 4.48390 0.1 0.2 0.2 0.57
C -0.27966 -8.06016 5.32347 -0.3 0.0 0.1 -0.80
C -0.75131 -1.88783 -1.26268 0.0 -0.1 -0.3 -1.49
H 2.79759 -11.95829 10.59537 -0.2 0.2 -0.1 0.37
H -0.85793 -5.78040 8.40385 0.1 -0.1 -0.2 0.47
C 2.14633 -9.90888 10.80487 -0.2 -0.1 0.0 -0.37
C -0.46427 -6.75994 2.58509 -0.2 -0.1 -0.1 0.53
H -4.22008 -0.12931 2.97483 -0.1 -0.1 -0.2 0.29
H 0.72326 -6.74854 -0.65071 -0.1 -0.1 0.3 0.47
C -1.32068 -7.89889 2.44901 0.2 -0.1 0.0 -0.77
C -4.32900 1.02670 -0.31406 -0.2 0.3 -0.1 -1.58
C -1.40065 -8.61996 1.27264 0.1 0.0 -0.2 -0.45
O -2.18795 -1.60029 1.98716 0.4 -0.2 -0.2 -0.29
C -0.41237 -6.65358 5.10153 -0.2 -0.1 0.4 0.24
H -2.04335 -9.50249 1.20410 0.2 0.5 0.1 0.40
H -0.37978 1.20710 -1.14508 -0.1 0.1 0.2 0.32
C 0.17325 -7.05312 0.23891 0.0 -0.2 -0.2 -0.82
H 0.39099 2.34366 -0.02497 -0.2 -0.1 -0.1 0.48
H -0.79296 -2.25224 -2.29915 0.1 0.0 0.2 0.50
C 0.26475 -9.26913 9.45050 0.2 -0.4 0.0 0.31
H -2.27771 -0.40813 -1.60330 0.0 -0.3 0.0 0.39
C -1.34243 -10.11801 -1.16678 0.0 0.1 0.0 -0.82
C -0.33674 -8.61714 6.59377 0.1 0.1 -0.4 -0.44
O -0.61690 -8.87696 -1.03719 -0.1 0.6 1.4 -0.41
H 1.24335 -7.92668 10.81185 0.1 -0.3 -0.1 0.41
C 0.12382 -10.57606 8.97999 0.2 0.3 0.1 -0.25
C -0.63441 -8.21646 0.14874 -0.1 -0.4 -0.4 0.93
C 0.26331 -6.35967 1.41943 -0.2 0.1 0.1 -0.48
C -3.65581 0.64938 1.00647 0.4 -0.3 0.2 0.87
O -0.56649 -8.22582 9.00890 -0.1 0.6 -1.1 -0.46
H -1.02387 -3.59180 4.33072 -0.2 -0.1 0.0 0.13
C 1.22284 -8.94133 10.41536 -0.1 0.0 -0.5 -0.45
H -3.16217 -2.77114 -1.99725 -0.1 0.0 0.2 0.43
C -3.23217 -2.26128 -1.02644 0.0 -0.2 -0.2 -1.40
H 0.94758 -5.51295 1.49425 -0.3 -0.2 -0.1 0.50
H -0.95306 -10.88083 -0.47942 0.0 0.2 -0.2 0.36
Si -2.10615 -0.41537 0.78512 -0.1 0.2 -0.3 -0.82
>>>

**Here it is**
ORCA calculation (ωB97M-V/def2-TZVPD) on a cluster of 2 separate species, C32H43O3Si in total at a distorted geometry.

Geometry as XYZ:
```
79
Properties=species:S:1:pos:R:3:forces:R:3:mulliken_charge:R:1
H -3.61922 1.36571 -1.07962 -0.1 -0.1 0.1 0.35
C -0.58077 -5.84415 6.26390 0.0 0.0 -0.1 -0.55
H -3.25682 1.56524 1.47083 -0.2 -0.1 -0.1 0.29
H -2.76146 -2.91109 4.07577 0.4 -0.1 0.0 0.28
H -2.41572 -9.97054 -0.99010 0.3 0.0 -0.1 0.34
H -4.22263 -1.79495 -0.97022 0.2 -0.1 0.1 0.23
C 2.06895 -11.20606 10.28757 -0.1 0.1 -0.1 -0.53
C -0.30866 -6.05018 3.80912 0.9 -1.5 -0.2 -0.62
H 0.32409 2.02471 2.42530 -0.2 -0.1 0.1 0.45
H -0.69135 -10.82376 8.29868 0.3 0.0 0.3 0.48
C -0.49111 1.70408 -0.17311 0.1 0.1 0.0 -1.51
H -3.16630 -3.02877 -0.24197 0.0 0.2 -0.1 0.22
H -5.04322 -0.93164 1.61173 0.1 0.2 0.1 0.25
H -0.22995 -9.69173 6.72638 0.1 0.4 -0.1 0.16
H -5.03199 1.85354 -0.13715 0.1 -0.2 -0.1 0.43
C -0.58663 1.41457 2.34276 0.2 0.1 0.0 -1.60
H 2.92419 -9.63803 11.51914 -0.2 -0.2 -0.2 0.37
H -1.92548 -8.22026 3.29682 0.1 0.2 -0.3 0.72
H 0.45004 -1.86931 1.42595 -0.3 -0.3 0.2 0.03
H -1.16697 -10.41846 -2.19947 -0.1 0.0 0.2 0.25
C -0.53172 -7.77995 7.69844 0.1 -0.5 1.2 1.06
H -1.45064 2.08359 2.45409 0.2 -0.1 0.0 0.33
C 0.01398 -2.70256 1.99493 0.8 -0.3 0.1 -0.47
C -0.59409 0.70244 0.98492 -0.1 -0.5 0.1 1.15
H -5.51487 0.70753 2.10779 0.1 -0.2 0.0 0.43
H 0.28309 0.03873 0.94628 0.0 0.3 0.0 0.24
H 0.69751 -2.94308 2.82031 0.0 0.1 -0.2 0.53
H -0.64642 -4.76501 6.14459 0.0 -0.2 0.1 0.33
C -2.09320 -1.24591 -0.90775 0.0 0.3 0.4 1.07
C -0.69079 -6.39499 7.52251 0.0 0.1 -0.1 -0.81